Morning all,
Rumours of our demise have been greatly exaggerated....
Hello slave driver you

but I’m glad that you find it interesting.
Hello Halo...Thanks for the concern. We don’t do relaxing; the most that we could take of sitting by the pool and reading, would be three days, by which time we would be itching to get on with something. As I often say, we will be found face down in a trench at the age of ninety. :shock: :roll:
Hello Kirk....Keep up the good work......
Had I been crawling to Compostela, that would have been the reason for the long time since last posting. Compostela is a hell of a long way from Antiquera. It's a good job that I don't have a religious bone in my body - but the Grand Mosque in Cordoba was something else. =D>
We have been rather busy in the garden. When we came back, the grass was about nine inches tall (honest) we hadn’t been able to cut it before, due to the excess of liquid sunshine. :evil:
The mountain of clay that was the left over from the new leaching field run, has now been barrowed into the ex pond, and there is now a foot to go. The plan is to plant some more trees and create a ‘woody walk’. To that end we have removed the bridge over the (non working) waterfall and created a brick walkway so that we can get from the wood to the grass circle on the other side. This area was bordered by a large shrub bed that has now been pick axed clear. The circle will be enclosed by yet more trees, and is about twenty foot in diameter.
We just need to soften the edges with some planting.
Whilst in sunny Espania, we went to the Picasso museum in Malaga. Whilst interesting, what struck us was the terrace for the cafe. It was an oasis of peace in the middle of the city. We now intend to recreate this feel on what passes for a lawn, by the house. We have already changed the detail. The right hand end hedge will not happen. This will give use a 'drift' into the wooded area, and allow us better to see the blossom that will be there.
The bit down the centre of the left hand part is a very shallow ripple water feature.
Just a small job then......‘Woodwork’ you remind me....well, there is the pergola.
I thought that you might be interested in seeing the workshop in its setting. We weren’t sure if it would work, but we feel very happy with the outcome. What do you think?.....Err, please don't think of this as a gloat; we still feel that we have won the lottery - in spite of the hard work.
There is still so more ‘garden management’ to carry out, but then it’s back to finishing the doors, before repointing the end of the house. The inside of the workshop will be finished in the colder months, as it was 34℃ yesterday. It will be interesting to see what ameliorating effect the insulation and roof ventilation will have?
Next to the entry, the page also holds quantum chemistry results:
<<<
{"formula": "C12H16N2O", "method": "ωB97M-V/def2-TZVPD", "fmax_ha_per_bohr": 0.0447, "total_charge": 0, "e_above_lowest_kj_mol": 136.8, "molar_mass_da": 204.27, "homo_lumo_gap_ev": 9.047, "smiles": "CCc1c[nH]cn1.Cc1ccc(O)cc1", "elements": ["O", "N", "N", "C", "C", "C", "C", "C", "C", "C", "C", "C", "C", "C", "C", "H", "H", "H", "H", "H", "H", "H", "H", "H", "H", "H", "H", "H", "H", "H", "H"], "positions_angstrom": [[-2.52268, 0.87800, -2.28566], [1.52524, -0.03873, -0.36781], [0.84340, 1.07147, -2.12901], [1.81830, 1.30595, -0.20230], [0.94270, -0.12494, -1.52329], [-1.41595, -0.48782, 0.89339], [1.33609, 2.01693, -1.25285], [-1.64146, 0.45359, -0.09983], [-1.96373, -1.34172, -1.70731], [2.55557, 1.70082, 1.03832], [-0.69718, -2.79981, 1.50979], [-1.25691, -1.82270, 0.53628], [1.89270, 1.48034, 2.37509], [-1.47349, -2.25012, -0.77086], [-2.16122, -0.03128, -1.30740], [0.66448, -1.03270, -2.02758], [-1.11756, -3.80761, 1.51980], [3.51949, 1.19047, 1.01433], [1.09817, 3.05504, -1.41116], [2.47475, 1.88943, 3.20218], [-1.36647, -3.30946, -0.96748], [-3.28729, 1.42042, -2.08052], [0.43932, 1.24903, -3.03017], [-1.70299, 1.53119, 0.00116], [-2.33536, -1.55605, -2.70074], [-0.67017, -2.51014, 2.56320], [1.85415, 0.41641, 2.62287], [-1.27927, -0.18134, 1.90997], [0.85331, 1.79597, 2.46955], [2.69706, 2.76081, 0.88444], [0.37698, -2.92144, 1.32362]], "forces_ev_per_a": [[0.0, 0.0, -0.7], [0.6, 0.1, 0.0], [-0.4, 0.4, 0.0], [-0.5, -1.2, 1.2], [0.6, -0.5, -0.7], [0.5, 0.3, -0.7], [-0.3, 0.1, -0.4], [-2.2, -0.5, -0.3], [-0.9, 0.0, 0.4], [-0.3, 0.8, -0.8], [1.0, -0.7, 1.0], [0.0, -0.3, 0.2], [-0.3, -1.2, 0.8], [-0.6, 0.4, 0.1], [1.6, 0.8, -0.2], [-0.1, -0.1, 0.1], [-0.2, 0.1, -0.4], [0.1, 0.2, 0.1], [0.6, 0.1, 0.0], [0.0, 0.4, -0.2], [0.1, 0.1, -0.3], [0.0, -0.1, 0.5], [-0.2, 0.0, 0.0], [0.2, -0.1, 0.6], [0.3, -0.5, -0.1], [-0.5, 0.5, -0.1], [0.0, -0.2, -0.3], [0.4, 0.1, 0.4], [0.1, 0.4, -0.3], [0.6, 0.5, 0.3], [-0.1, -0.1, -0.3]]}

***
>>>
So much for the quantum chemistry results:
Right, so it's off to the tip with the car stuffed to the gunnels (ok. gunwales for you pedants

) with bags of grass clippings, with two more trips after that - we can't compostela that lot.....sorry Kirk. :roll: :wink: